Anyone have any APS blueprints, such as dimensions and all, was looking at supercavitating rounds, and the the ADS.
Underwater rifle blueprints
There are a few commercial rounds, but not really available to civilians. You may be able to calculate dimensions form pictures they post online.
# Attached: data records
~~~
Below is a PBEsol-optimized structure of RbTl2In2, with properties calculated at the SCAN level.

The structure in extended XYZ format:
```
10
Lattice="9.3561 0.0000 0.0000 0.0000 9.3561 0.0000 0.0000 0.0000 3.4332" Properties=species:S:1:pos:R:3 pbc="T T T"
Rb 0.0000 0.0000 0.0000
Rb 4.6781 4.6781 0.0000
Tl 1.3422 3.3359 0.0000
Tl 3.3359 8.0140 0.0000
Tl 6.0202 1.3422 0.0000
Tl 8.0140 6.0202 0.0000
In 1.3693 6.0474 1.7166
In 3.3087 1.3693 1.7166
In 6.0474 7.9868 1.7166
In 7.9868 3.3087 1.7166
```

The value obtained for the energy of formation is -0.0734 eV/atom. For the total magnetic moment, the calculation gives 0.00 μB/f.u. Its final energy is -46.5192 eV per atom. Its distance to the lowest polymorph of the same formula is 9.1 kJ/mol of atoms.

----------

Record 1
The following is a SCAN calculation of a PBEsol-optimized structure of Tl2RuPb, from the Alexandria database.

Summary:
Energy of formation = 318 meV per atom
Offset from the most stable computed form = 14 meV per atom
Size of the total moment = 0.00 Bohr magnetons per cell

Unit cell a=3.244 b=3.244 c=8.814 alpha=90.00 beta=90.00 gamma=90.00
Space group P4mm (No. 99)
Unique sites:
Tl 0.000 0.000 0.000 [1 per cell]
Tl 0.500 0.500 0.299 [1 per cell]
Ru 0.500 0.500 0.806 [1 per cell]
Pb 0.000 0.000 0.617 [1 per cell]


Record 2
The following is a SCAN calculation of a PBEsol-optimized structure of La5Zn3, from the Alexandria database.

Summary:
Energy of formation = -244 meV per atom
Offset from the most stable computed form = 0 meV per atom
Size of the total moment = 0.68 Bohr magnetons per cell

Unit cell a=12.189 b=12.189 c=5.786 alpha=90.00 beta=90.00 gamma=90.00
Space group I4/mcm (No. 140)
Unique sites:
La 0.000 0.500 0.250 [4 per cell]
La 0.088 0.222 0.000 [16 per cell]
Zn 0.000 0.000 0.250 [4 per cell]
Zn 0.161 0.339 0.500 [8 per cell]


> Which value of size of the total moment does entry 2 give?

0.68 Bohr magnetons per cell


> What is the size of the total moment in the second record?

0.68 Bohr magnetons per cell

----------

## Tm2Ru2O7 (PBE)

Data for a relaxed Tm2Ru2O7 crystal.

Calculated values
The value obtained for the raw formation energy is -209.6 kJ per mole of atoms. Its theoretical density is 8.27 Mg/m³. The calculation puts the total magnetization at 0.37 μB per atom. Its space-group type is Fd-3m, No. 227.

Unit cell a=7.180 b=7.180 c=7.180 alpha=60.00 beta=60.00 gamma=60.00
Fractional coordinates of all 22 atoms:
1 Ru 0.625 0.625 0.625
2 O 0.250 0.250 0.250
3 O 0.965 0.965 0.535
4 O 0.535 0.965 0.965
5 O 0.715 0.285 0.285
6 O 0.285 0.715 0.285
7 O 0.285 0.285 0.715
8 O 0.715 0.715 0.285
9 Ru 0.625 0.625 0.125
10 O 0.535 0.535 0.965
11 Tm 0.625 0.125 0.125
12 Tm 0.125 0.125 0.625
13 Ru 0.125 0.625 0.625
14 Tm 0.125 0.625 0.125
15 Ru 0.625 0.125 0.625
16 O 0.000 0.000 0.000
17 O 0.715 0.285 0.715
18 Tm 0.125 0.125 0.125
19 O 0.285 0.715 0.715
20 O 0.965 0.535 0.535
21 O 0.535 0.965 0.535
22 O 0.965 0.535 0.965

----------

Entry 1:
# IrPb2Cl PBE relaxed
~~~
# Back to the piece
Unlike underwater guns, these rounds work both above or below water in any gun for that caliber.
why the fuck do you want that you fucking nigger? have some fucking white people underwater you need to shoo at? you cannot swim either way you fucking nigger
murdering lionfish in bulk without a illegal suppressor meme?
Would it be possible of course it wouldn't be *practical*, this is Zig Forums after all to build some kind of torpedo based gyrojet analogue? A rifle firing a miniaturised, self propelled, explosive charge designed for range, speed, and accuracy underwater I mean. As I understand it the shockwave from an explosive is magnified underwater, so you wouldn't need that much weight of HE in the projectile to be worthwhile.
AFAIK water is opaque to IR, so heatseekers are out, but could you mount some kind of active sonar seeker to compensate for the visual distortion and dexterity problems divers experience?
hypothetically, but size becomes an issue, I would put a baseline at 20mm for the smallest possible shoulder fired underwater torpedo.
China has a reverse engineered copy of a US torpedo, and it uses a sodium payload that explodes in a chemical reaction on impact instead of an explosive payload
This might be a bit of a misunderstanding, ballistics underwater are complex, and a lot of it becomes a hydraulic problem (idk a lot about the science, but designing underwater explosives is not exactly easy)
cannot you just use an harpoon? l get it that rate idf fire is kinda shit but ability to pull up your catch by a line sounds like a very fun thing
maybwe you could even make a self repeating one with several barels like in kenshi or something
Because it's cool. Kys.
Harpoons or spear guns are basically underwater crossbows/spears, it sounds like OP wants a Zig Forums way to kill things at sea that involves explosions
no you kys yourself fag
Checking out, here's an underwater concrete stapler.
Also, UHMWPE armor for underwater warfare.
That magazine location gives me many many ideas
Fun fact, large groups of tuna are called schools, therefore by using a harpoon gun to fish for tuna you're technically a schoolshooter.
That's some shit straight out of a sci-fi horror protagonist weapon like pic related, naiiice
anything larger? any divebros know of any tools that can be converted to weapons like in the alien movies?
A cat as a sci-fi weapon, awesome idea.
Shooting lionfish like that doesn't make a lot of sense. If you don't collect those fish the dead fish will just keep floating around and become a floating hazard to all other fish around.
This is why they are usually spearfished.
lol, jesus fucking christ, how many fish are you shooting that the oceans fill up to the point of becoming a hazard to other fish beyond a meal?
i've only been spear fishing a few dozen times in SE asia and hawaii, i was always under the impression it just stopped the fuckers from swimming off as unless you get a good shot they'll try darting off into the abyss for a few seconds after being shot with a spear…it's not like deer hunting where you can aim your shot properly and just drop them right then and there….i think you're talking out your ass.
What brand is that?
I think he means other fish will try eating the carcass and get the poison quill or whatever their stupid fish spikes are